Collected Poems 1947-1997 - Ginsberg Allen. Страница 170

Dharma Death, your mind is new

Sangha Death, we’ll work it through

Suffering is what was born

Ignorance made me forlorn

Tearful truths I cannot scorn

Father Breath once more farewell

Birth you gave was no thing ill

My heart is still, as time will tell.

July 8, 1976 (Over Lake Michigan)


Near the Scrap Yard my Father’ll be Buried

Near Newark Airport my father’ll be

Under a Winston Cigarette sign buried

On Exit 14 Turnpike NJ South

Through the tollgate Service Road 1 my father buried

Past Merchants Refrigerating concrete on the cattailed marshes

past the Budweiser Anheuser-Busch brick brewery

in B’Nai Israel Cemetery behind a green painted iron fence

where there used to be a paint factory and farms

where Pennick makes chemicals now

under the Penn Central power Station

transformers & wires, at the borderline

between Elizabeth and Newark, next to Aunt Rose

Gaidemack, near Uncle Harry Meltzer

one grave over from Abe’s wife Anna my father’ll be buried.

July 9, 1976


What’s to be done about Death?

Nothing, nothing

Stop going to school No. 6 Paterson, N.J., in 1937?

Freeze time tonight, with a headache, at quarter to 2 A.M.?

Not go to Father’s funeral tomorrow morn?

Not go back to Naropa teach Buddhist poetics all summer?

Not be buried in the cemetery near Newark Airport some day?

Paterson, July 11, 1976

“Junk Mail”

I received in mail offer beautiful certificate National Conference Synagogue Youth

invites subscriber Monthly Review Independent Socialist Mag

Congressman Koch reports on collapse of our cities

Epilepsy Foundation misdelivered for Mr. Pantonucci light candle understanding 4 million Americans

Dear Mr. Orlovsky put Salvation Army on your Christmas List $50 return enclosed envelope

American Friends Service Committee act now meet urgent human needs hungry families Prisoners

in remote penal institutions Rehabilitation Vietnam Laos Northern Great Plains Indians block land-destruction by energy seeking industries Contact between Israeli Jews & Arabs

Psychoenergetics workshops in Vermont Green Mountain Quarterly’s Imperialist Ideology in Donald Duck with a new bibliography Sri Aurobindo and the Mother protected by Intnl. copyright laws News of Auroville

Next to the piece, the page also holds calculated molecules:
Record 1
Molecular formula: C4H12
Method: DFT, ωB97M-V/def2-TZVPD

Each line ends with the Löwdin charge.
CARTESIAN COORDINATES (ANGSTROEM)
C -0.096 -1.233 1.978  -0.149
C 1.405 -0.840 1.988  -0.164
H -0.504 -2.170 1.936  0.028
H -0.584 -0.570 2.634  0.037
H -0.384 -0.763 0.976  0.066
H 1.639 -0.764 0.851  0.071
H 2.113 -1.630 2.157  0.036
H 1.655 0.142 2.477  0.080
C -1.307 1.335 -1.864  -0.175
C -0.016 0.554 -2.052  -0.173
H -2.212 0.926 -2.117  0.020
H -1.548 1.385 -0.746  0.073
H -1.279 2.452 -1.880  0.079
H -0.041 -0.500 -1.821  0.055
H 0.754 0.975 -1.441  0.045
H 0.405 0.700 -3.078  0.072

relative energy (zero: lowest compared OMol25 entry of this formula, charge and spin)	151.1	kJ/mol
total charge	0
HOMO	-10.9	eV
2S+1	1
LUMO level	1.08	eV
DFT total energy	-159.527413	Eh



Record 2
Molecular formula: C4H12
Method: DFT, ωB97M-V/def2-TZVPD

Each line ends with the Löwdin charge.
CARTESIAN COORDINATES (ANGSTROEM)
C -0.830 1.378 1.224  -0.192
C -1.738 0.218 1.452  -0.210
H -1.242 2.225 0.804  0.026
H -0.376 1.703 2.199  0.089
H -0.147 0.981 0.386  0.061
H -1.111 -0.794 1.460  0.086
H -2.444 0.137 0.563  0.086
H -2.201 0.096 2.464  0.065
C 1.097 -1.175 -0.709  -0.187
C 1.369 -0.371 -1.951  -0.200
H 2.195 -1.566 -0.409  0.114
H 0.554 -0.672 0.111  0.013
H 0.570 -2.089 -0.804  0.040
H 2.505 -0.350 -2.203  0.079
H 1.003 -0.775 -2.853  0.031
H 1.303 0.802 -1.815  0.100

relative energy (zero: lowest compared OMol25 entry of this formula, charge and spin)	155.5	kJ/mol
total charge	0
HOMO	-10.8	eV
2S+1	1
LUMO level	1.14	eV
DFT total energy	-159.525736	Eh



Record 3
Molecular formula: C4H12
Method: DFT, ωB97M-V/def2-TZVPD

Each line ends with the Löwdin charge.
CARTESIAN COORDINATES (ANGSTROEM)
C -0.551 1.726 1.613  -0.175
C 0.977 1.675 1.579  -0.162
H -1.015 0.736 1.597  0.053
H -1.015 2.220 2.472  0.060
H -0.924 2.234 0.733  0.053
H 1.417 2.601 1.215  0.061
H 1.390 1.429 2.552  0.057
H 1.294 0.856 0.937  0.052
C -0.819 -1.635 -1.149  -0.171
C 0.419 -1.753 -2.035  -0.170
H -1.661 -2.237 -1.476  0.058
H -0.614 -1.891 -0.101  0.060
H -1.128 -0.594 -1.074  0.050
H 0.718 -0.793 -2.442  0.055
H 0.215 -2.398 -2.884  0.055
H 1.299 -2.175 -1.536  0.063

relative energy (zero: lowest compared OMol25 entry of this formula, charge and spin)	20.1	kJ/mol
total charge	0
HOMO	-11.8	eV
2S+1	1
LUMO level	1.12	eV
DFT total energy	-159.577319	Eh



Record 4
Molecular formula: C4H12
Method: DFT, ωB97M-V/def2-TZVPD

Each line ends with the Löwdin charge.
CARTESIAN COORDINATES (ANGSTROEM)
C -2.484 -0.678 0.125  -0.208
C -1.517 0.060 0.823  -0.224
H -3.445 -0.165 -0.082  0.076
H -2.233 -1.202 -0.796  0.076
H -3.086 -1.469 0.709  0.093
H -1.271 0.921 0.156  0.099
H -0.628 -0.363 0.992  -0.022
H -1.623 0.624 1.774  0.105
C 2.390 0.812 -0.973  -0.167
C 1.687 -0.177 -0.026  -0.178
H 1.860 1.759 -1.130  0.068
H 3.263 1.128 -0.537  0.024
H 2.569 0.383 -1.919  0.045
H 2.079 -0.096 1.120  0.108
H 1.906 -1.275 -0.370  0.084
H 0.533 -0.264 0.135  0.022

Dear Friend: we are Michael & Robert Meeropol, sons of Julius & Ethel Rosenberg executed by U.S. Government 22 years ago.

Sue the Government for the Files duplicating fees alone Twenty-five

Thousand Dollars

Christmas Greetings Help Hospitalized Veterans art or craft Kit enthused busily working for days Bob Hope helps.

Fund For Peace if your blood boils Press accounts C.I.A. blackmail assassination a powerful alternative to World Violence Private Citizens acting Global

Gay Peoples Union NYU faces bankruptcy Dance Halloween

Boycott Gallo Grapes lettuce United Farmworkers of America Our struggle is not over make checks payable Si Se Puede Cesar E. Chavez Union Label

Announcing Energy & Evolution Quarterly how to make harps lyres & dulcimers Quantum Theory Tantra & land reform organic gardening

Give Poets & Writers’ CODA to a friend subscribe United Nations Childrens’ Fund severe malnutrition Starvation faces 400 to 500 million children poorer countries. Dwarfism

disease blindness mental retardation stunted growth crop failures drought flood exhausted wheat rice reserves skyrocketing fuel costs fertilizer shortages Desperately need your help.

Racial motives lead to Innocent Marine’s conviction in Georgia murder trial a thick envelope from Southern Poverty Law Center Julian Bond

“I didn’t mean to harm anyone. I only went into that Police Station to see what they were doing to my brother…” sd Marine Sgt. Roy Patterson

Won’t you help millions in desperate need Thanksgiving urgently bless Carl’s Holiday Food Crusade “Yes! use my tax deductible donation to keep them alive.”

Catholic Peace Fellowship Activist Fund’s special appeal help the Staff to foster Christian Pacifist Continental Walk Disarmament & Social Justice

() I have no money at present but I wish to remain on the mailing list () Please take my name off your mailing list

An important message from Robert Redford about the Environment 80 separate legal actions Dirty air you pay your life Aerosol Spray cancer the National Resources Defense Council needs your support

The Continental Walk itself: the Nations spent $4.5 Trillion military security since 1946 This year $240 Billion join us walk across ? of the Planet’s surface Nonviolent resistance Unilateral Disarmament

Aum Sri Ganeshaya Namah Tantra Non-salacious in tone & intent lecturer Dr. Thackur George Washington Hotel Lexington Avenue NYC

Dear Friend: the War Resisters International is in a desperate financial situation

Nuclear Age pacifist work must advance leafleting soldiers British Withdrawal from Northern Ireland Campaign

We are in need of the kind of Miracle you can bring to pass. The huge influx of Russian Immigrants upon Bikur Cholem Hospital in the heart of Jerusalem—Don’t turn your back on the Herculean efforts …

First priority reservation on new gold $100 Canadian Olympic Coin now available at just $110! for American Express Cardmembers—

Ad Hoc Coalition for a New Foreign Policy (formerly Coalition to Stop Funding the War) hopes you will join the network by filling out the enclosed envelope

Human Rights Amendment, end Vietnam Trade Embargo, cut foreign military assistance encourage people to people Friendshipments to Vietnam

A literary miracle 843 poems written in 24 hours by Indian Yogi Sri Chinmoi Aum Publications

If you haven’t joined the Great Falls Development Corp. now’s the time to do so

& subscribe to the William Carlos Williams Newsletter. Penmaen Press: Two fascinating heretofore unpublished letters written in 1956 to Richard Eberhart by Allen Ginsberg …

Please won’t you help Central America Sub-Saharan Africa and the Indian Subcontinent? Give generously to Planned Parenthood—World Population

Confidential—Memo to supporters of Open Housing from Fund for Open Society a nonprofit mortgage Co. to advance equal housing: fight racial steering

Dear Citizen of the World: First days explosion bomb radioactivity starve Ozone layer? Isn’t it time we did something?

1) Send cooperators ten addresses w/ zip codes 2) Mail friends endorsement 3) Write your Congressman President Newspaper editor & Presidential Candidate.

As a final move, the World Authority would destroy all Nuclear Weapons.